## Source
+++
[1]
Here is a geometry-optimized Na5Hf2Si3Ge2P3O24 structure from the Materials Project database. Energies are from PBE.

Output
E_tot in eV/atom: -7.238
Formation enthalpy at 0 K in eV/f.u.: -111.72
Volume in Å³/cell: 1502

abc: 8.8323 8.8212 22.1965
angles: 90.11 89.74 119.70
Sites, in units of the cell vectors:
O 0.1513 0.6812 0.7495
O 0.5183 0.6474 0.8580
O 0.8391 0.2919 0.5248
O 0.4849 0.3516 0.1463
O 0.1738 0.4740 0.2542
O 0.1748 0.0159 0.5892
O 0.6933 0.1890 0.7368
O 0.1433 0.4582 0.9754
O 0.1761 0.1972 0.4169
O 0.3140 0.8510 0.9745
O 0.3476 0.8641 0.8535
O 0.8375 0.8137 0.5887
O 0.4533 0.2862 0.0305
O 0.8724 0.3738 0.6362
O 0.3529 0.8479 0.5770
O 0.8070 0.9808 0.6816
O 0.1529 0.6629 0.0810
O 0.1425 0.4900 0.8622
O 0.3002 0.4718 0.4751
O 0.6530 0.5071 0.9187
O 0.0208 0.1924 0.9116
O 0.8253 0.9871 0.4120
O 0.5106 0.1554 0.9173
O 0.1574 0.9755 0.9101
O 0.1689 0.9727 0.1954
O 0.8656 0.3673 0.9198
O 0.8401 0.0260 0.0918
O 0.7047 0.5430 0.2469
O 0.5179 0.8421 0.7463
O 0.1726 0.7104 0.4771
O 0.6459 0.1563 0.4270
O 0.8286 0.0386 0.8010
O 0.5444 0.8422 0.4818
O 0.8350 0.8023 0.3085
O 0.4648 0.1672 0.5221
O 0.4713 0.2972 0.7376
O 0.9834 0.1669 0.3152
O 0.5034 0.3616 0.4270
O 0.4583 0.1623 0.2512
O 0.3660 0.4885 0.3642
O 0.8703 0.5021 0.1437
O 0.1174 0.6216 0.3596
O 0.1728 0.1921 0.6866
O 0.9674 0.7868 0.8022
O 0.8083 0.8323 0.1936
O 0.1896 0.0185 0.3123
O 0.3357 0.4932 0.0818
O 0.2088 0.1707 0.7984
O 0.5434 0.7111 0.2560
O 0.5361 0.6806 0.9716
O 0.6400 0.1235 0.1416
O 0.9780 0.8290 0.0946
O 0.0276 0.8250 0.6889
O 0.3078 0.4649 0.7481
O 0.9751 0.1683 0.5876
O 0.1371 0.5014 0.5748
O 0.0182 0.1888 0.1902
O 0.8078 0.8295 0.9102
O 0.0284 0.8484 0.4107
O 0.4956 0.8723 0.3650
O 0.6280 0.4934 0.6425
O 0.2927 0.8340 0.2568
O 0.5121 0.8612 0.0791
O 0.1711 0.1520 0.0932
O 0.8479 0.4881 0.4278
O 0.5053 0.1289 0.6403
O 0.4877 0.6399 0.5759
O 0.7068 0.1589 0.0308
O 0.7130 0.5310 0.5266
O 0.8447 0.5453 0.0252
O 0.8207 0.5220 0.7380
O 0.8309 0.3054 0.2526
Ge 0.6646 0.3327 0.6812
Ge 0.0002 0.0019 0.1485
Ge 0.9979 0.9968 0.6429
Ge 0.6680 0.3374 0.4829
Ge 0.3437 0.6776 0.5197
Ge 0.9870 0.9899 0.3564
P 0.2894 0.2832 0.7413
P 0.7235 0.7269 0.2509
P 0.9569 0.3340 0.5816
P 0.6751 0.0410 0.0863
P 0.9859 0.7005 0.7442
P 0.2764 0.0013 0.2538
P 0.3400 0.3824 0.4218
P 0.0434 0.3749 0.9164
P 0.6258 0.6665 0.9145
Na 0.0265 0.3395 0.0909
Na 0.3662 0.9995 0.7464
Na 0.3345 0.6378 0.6613
Na 0.3553 0.6560 0.1685
Na 0.0017 0.6197 0.2504
Na 0.0328 0.7007 0.5804
Na 0.9782 0.6717 0.9203
Na 0.9974 0.9972 0.5003
Na 0.6622 0.3335 0.3387
Na 0.9692 0.3028 0.4143
Na 0.3368 0.0327 0.4189
Na 0.6671 0.3261 0.8292
Na 0.3008 0.9740 0.0815
Na 0.9947 0.9993 0.0006
Na 0.6624 0.9611 0.5849
Si 0.3759 0.0484 0.5821
Si 0.0374 0.6658 0.4194
Si 0.3371 0.9665 0.9137
Si 0.9541 0.6345 0.0865
Si 0.0018 0.2767 0.2533
Si 0.3654 0.3273 0.0889
Si 0.7162 0.0141 0.7408
Si 0.6277 0.9597 0.4209
Si 0.6597 0.6140 0.5832
Hf 0.9972 0.0064 0.8492
Hf 0.3404 0.6692 0.8068
Hf 0.3366 0.6653 0.3148
Hf 0.6566 0.3290 0.9811
Hf 0.3348 0.6675 0.0208
Hf 0.6629 0.3287 0.1924

***

[2]
Here is a geometry-optimized Na6Hf4Si7Ge4S5O48 structure from the Materials Project database. Energies are from PBE.

Output
E_tot in eV/atom: -7.093
Formation enthalpy at 0 K in eV/f.u.: -195.42
Volume in Å³/cell: 3016

abc: 17.5782 8.7732 22.5886
angles: 89.91 89.75 120.01
Sites, in units of the cell vectors:
S 0.3128 0.6713 0.9145
S 0.9750 0.6193 0.0831
S 0.5010 0.2942 0.2510
S 0.6663 0.3791 0.4149
S 0.1660 0.9528 0.9142
S 0.0004 0.7056 0.7505
S 0.4748 0.3305 0.5832
S 0.8131 0.9539 0.4148
S 0.6885 0.0467 0.5837
S 0.8345 0.0548 0.0823
S 0.1659 0.3773 0.4169
S 0.1879 0.3293 0.0832
S 0.6658 0.9537 0.9159
S 0.9769 0.3341 0.5849
S 0.3337 0.6141 0.5824
Hf 0.4994 0.9910 0.1427
Hf 0.6622 0.6437 0.0222
Hf 0.0014 0.0019 0.6461
Hf 0.1685 0.6876 0.5190
Hf 0.6685 0.6665 0.5221
Hf 0.1693 0.6714 0.0229
Hf 0.9955 0.0150 0.8534
Hf 0.4949 0.9922 0.6528
Hf 0.8398 0.3516 0.4767
Hf 0.3433 0.3355 0.9792
Hf 0.9959 0.9995 0.1523
Hf 0.4957 0.9762 0.3516
+++

## Assignment
Your job: restate only the lines above with the word "geometry-optimized" in them.

## Written answer
Here is a geometry-optimized Na5Hf2Si3Ge2P3O24 structure from the Materials Project database. Energies are from PBE.
Here is a geometry-optimized Na6Hf4Si7Ge4S5O48 structure from the Materials Project database. Energies are from PBE.